Input =
=====
Entry 1
Entry from the Alexandria database: a relaxed structure of HoPd4Pt (PBE).

Cell: 4.913 4.955 5.015 Å, 60.40 81.05 71.65°
Positions (direct):
Pd 0.500 0.826 0.349
Pd 0.000 0.664 0.672
Pd 0.500 0.174 0.651
Pd 0.000 0.336 0.328
Ho 0.000 0.000 0.000
Pt 0.500 0.500 0.000

## Properties
Symmetry   C2/m (12)
DOS(E_F)   3.360 states/eV/cell


Entry 2
Entry from the Alexandria database: a relaxed structure of HoPd4Pt (PBE).

Cell: 4.734 5.533 8.952 Å, 90.00 105.33 90.00°
Positions (direct):
Pt 0.425 0.401 0.849
Pt 0.575 0.901 0.151
Pd 0.127 0.661 0.253
Pd 0.873 0.161 0.747
Pd 0.286 0.649 0.572
Pd 0.571 0.413 0.143
Pd 0.289 0.149 0.578
Pd 0.714 0.149 0.428
Pd 0.429 0.913 0.857
Pd 0.711 0.649 0.422
Ho 0.116 0.161 0.233
Ho 0.884 0.661 0.767

## Properties
Symmetry   Cmc2_1 (36)
DOS(E_F)   9.987 states/eV/cell


Entry 3
Entry from the Alexandria database: a relaxed structure of HoPd4Pt (PBE).

Cell: 5.281 5.281 5.281 Å, 60.00 60.00 60.00°
Positions (direct):
Pd 0.624 0.127 0.624
Pd 0.624 0.624 0.624
Pd 0.127 0.624 0.624
Pd 0.624 0.624 0.127
Ho 0.000 0.000 0.000
Pt 0.250 0.250 0.250

## Properties
Symmetry   F-43m (216)
DOS(E_F)   8.210 states/eV/cell


Stability, highest: entry 1


Entry 1
Entry from the Alexandria database: a relaxed structure of Ho2Pd2Pt (PBE).

Cell: 5.697 6.044 7.650 Å, 113.27 111.86 90.00°
Positions (direct):
Pd 0.882 0.690 0.764
Pd 0.618 0.926 0.236
Pd 0.382 0.074 0.764
Pd 0.118 0.310 0.236
Pt 0.250 0.500 0.000
Pt 0.750 0.500 0.000
Ho 0.341 0.575 0.682
Ho 0.159 0.893 0.318
Ho 0.841 0.107 0.682
Ho 0.659 0.425 0.318

## Properties
Symmetry   Ibam (72)
DOS(E_F)   3.912 states/eV/cell


Entry 2
Entry from the Alexandria database: a relaxed structure of Ho2Pd2Pt (PBE).

Cell: 4.384 4.384 7.000 Å, 90.14 108.24 119.77°
Positions (direct):
Ho 0.186 0.592 0.778
Ho 0.814 0.408 0.222
Pt 0.000 0.000 0.000
Pd 0.288 0.144 0.432
Pd 0.712 0.856 0.568

## Properties
Symmetry   C2/m (12)
DOS(E_F)   2.582 states/eV/cell


Stability, highest: entry 2


Entry 1
Entry from the Alexandria database: a relaxed structure of HoPd2Pt2 (PBE).

Cell: 4.948 4.948 5.398 Å, 117.28 117.28 90.00°
Positions (direct):
Pt 0.250 0.750 0.500
Pt 0.750 0.250 0.500
Pd 0.653 0.653 0.306
Pd 0.347 0.347 0.694
Ho 0.000 0.000 0.000

## Properties
Symmetry   I4/mmm (139)
DOS(E_F)   4.740 states/eV/cell


Entry 2
Entry from the Alexandria database: a relaxed structure of HoPd2Pt2 (PBE).

Cell: 4.710 4.710 10.676 Å, 90.00 90.00 120.00°
Positions (direct):
Pd 0.667 0.333 0.999
Pd 0.333 0.667 0.001
Pd 0.333 0.667 0.499
Pd 0.667 0.333 0.501
Pt 0.000 0.000 0.500
Pt 0.000 0.000 0.000
Pt 0.333 0.667 0.250
Pt 0.667 0.333 0.750
Ho 0.000 0.000 0.250
Ho 0.000 0.000 0.750

## Properties
Symmetry   P6_3/mmc (194)
DOS(E_F)   3.902 states/eV/cell


Stability, highest: entry 2


Entry 1
Entry from the Alexandria database: a relaxed structure of HoPd5Pt2 (PBE).

Cell: 7.035 7.035 7.424 Å, 118.28 118.28 90.00°
Positions (direct):
Pt 0.145 0.355 0.000
Pt 0.645 0.145 0.000
Pt 0.355 0.855 0.000
Pt 0.855 0.645 0.000
Pd 0.000 0.000 0.000
Pd 0.516 0.312 0.328
Pd 0.016 0.516 0.328
Pd 0.688 0.188 0.672
Pd 0.984 0.484 0.672
Pd 0.484 0.688 0.672
Pd 0.312 0.812 0.328
Pd 0.812 0.016 0.328
Pd 0.188 0.984 0.672
Pd 0.500 0.500 0.000
Ho 0.250 0.250 0.500
Ho 0.750 0.750 0.500

## Properties
Symmetry   I4/mcm (140)
DOS(E_F)   15.502 states/eV/cell


Entry 2
Entry from the Alexandria database: a relaxed structure of HoPd5Pt2 (PBE).

Cell: 4.055 5.687 11.404 Å, 90.00 90.00 90.00°
Positions (direct):
Pd 0.000 0.987 0.249
Pd 0.500 0.753 0.627
Pd 0.500 0.247 0.373
Pd 0.000 0.487 0.251
Pd 0.500 0.253 0.873
Pd 0.000 0.013 0.751
Pd 0.500 0.747 0.127
Pd 0.000 0.500 0.500
Pd 0.000 0.000 0.000
Pd 0.000 0.513 0.749
Pt 0.500 0.263 0.628
Pt 0.500 0.763 0.872
Pt 0.500 0.237 0.128
Pt 0.500 0.737 0.372
Ho 0.000 0.000 0.500
Ho 0.000 0.500 0.000

## Properties
Symmetry   Pbam (55)
DOS(E_F)   24.236 states/eV/cell


Stability, highest: entry 2


Entry 1
=====

Request =
It remains to say how many lines of the listing above hold the word "Properties", as a bare number.

Solution =
9